Now transcribe everything further below verbatim.

........
# Pm2SiSnRh6
Calculated powder XRD pattern, Cu Kα, 1.54184 Å. Input: the PBE geometry in Alexandria.
Peak positions follow from Bragg's law for the DFT cell and can differ from measured ones.

Crystal structure
Cell: 6.181 6.189 7.210 Å, 65.24 64.95 60.16°
Fractional coordinates of all 10 atoms:
Pm  0.249  0.248  0.251
Pm  0.751  0.752  0.749
Si  0.500  0.500  0.500
Sn  0.000  0.000  0.000
Rh  0.179  0.740  0.336
Rh  0.257  0.259  0.668
Rh  0.258  0.825  0.660
Rh  0.742  0.175  0.340
Rh  0.743  0.741  0.332
Rh  0.821  0.260  0.664

The 10 most intense peaks (15° ≤ 2θ ≤ 90°), most intense first:
index  d/Å  I (rel.)
0 2 2  2.324  100
2 0 2  2.331  97
2 2 0  2.338  94
2 2 2  2.568  82
2 0 0  2.579  80
0 2 0  2.589  79
4 2 2  1.546  65
1 -1 0  3.095  63
0 0 2  3.149  56
0 1 0  5.168  51

~~~~~

Entry 1:
# Mg14NiC
Computed X-ray powder pattern, Cu Kα (λ = 1.5418 Å). Input: a structure optimized by DFT (GGA-PBE).

Principal peaks in the range 10 to 90 degrees two-theta, low angle first:
2θ/deg  intensity
18.09  9
19.73  14
34.78  22
35.00  17
36.64  100
39.15  15
40.07  10
52.22  10

Cell and atoms:
```
Mg14NiC
1.0
9.2044 0.0000 0.0000
0.0000 3.5028 5.1595
0.0000 -3.5028 5.1595
Mg Ni C
14 1 1
Cartesian
0.0000 0.0000 0.0000 Mg
0.0000 0.0000 4.8588 Mg
0.0000 -1.5320 7.6952 Mg
0.0000 1.5320 7.6952 Mg
2.1908 0.0000 2.2270 Mg
2.4229 0.0000 6.7623 Mg
2.9968 -2.0437 4.4776 Mg
2.9968 2.0437 4.4776 Mg
4.6022 -1.9328 6.9846 Mg
4.6022 1.9328 6.9846 Mg
6.2076 -2.0437 4.4776 Mg
6.2076 2.0437 4.4776 Mg
6.7815 0.0000 6.7623 Mg
7.0136 0.0000 2.2270 Mg
4.6022 0.0000 5.0603 Ni
4.6022 0.0000 0.2165 C
```

***

Entry 2:
# MgC2O4
Computed X-ray powder pattern, Cu Kα (λ = 1.5418 Å). Input: a structure optimized by DFT (GGA-PBE).

Principal peaks in the range 10 to 90 degrees two-theta, low angle first:
2θ/deg  intensity
24.20  100
34.11  32
38.33  56
39.10  13
40.17  13
42.53  14
49.60  16
51.21  13

Cell and atoms:
```
MgC2O4
1.0
5.4272 0.0000 0.0000
0.0000 5.1199 0.0000
-3.1227 0.0000 5.2849
Mg C O
2 4 8
Cartesian
0.0000 0.0000 0.0000 Mg
-1.5613 2.5600 2.6424 Mg
-0.3777 0.6283 4.8309 C
1.1836 1.9316 2.1885 C
1.1209 3.1883 3.0964 C
2.6823 4.4916 0.4540 C
-1.4775 1.0514 4.3388 O
0.0839 1.5085 1.6964 O
-0.0144 3.6983 3.2752 O
1.5470 3.9816 0.6327 O
0.7576 1.1383 4.6521 O
2.3189 1.4216 2.0097 O
2.2207 3.6114 3.5885 O
3.7821 4.0685 0.9461 O
```

***

Entry 3:
# Mg5C4O18
Computed X-ray powder pattern, Cu Kα (λ = 1.5418 Å). Input: a structure optimized by DFT (GGA-PBE).

Principal peaks in the range 10 to 90 degrees two-theta, low angle first:
2θ/deg  intensity
13.64  59
15.09  100
21.15  23
26.52  28
30.39  38
30.52  27
35.25  21
41.56  26

Cell and atoms:
```
Mg5C4O18
1.0
10.0796 0.0000 0.0000
0.0000 9.1677 0.0000
-3.4389 0.0000 7.6678
Mg C O
10 8 36
Cartesian
0.0000 0.0000 0.0000 Mg
-1.7195 4.5839 3.8339 Mg
2.2741 0.6199 2.7455 Mg
0.5547 3.9640 6.5794 Mg
0.1130 0.5982 7.6025 Mg
1.8325 3.9857 3.7687 Mg
4.8082 5.1821 3.8991 Mg
6.5277 8.5695 0.0652 Mg
6.0860 5.2038 1.0884 Mg
4.3665 8.5478 4.9223 Mg
-1.8057 2.1354 5.9030 C
-0.0862 2.4484 2.0691 C
2.2698 1.5426 5.6534 C
3.9893 3.0412 1.8195 C
2.6514 6.1265 5.8483 C
4.3709 7.6251 2.0144 C
6.7269 6.7193 5.5986 C
8.4464 7.0323 1.7647 C
-2.5885 1.1345 6.1036 O
-0.3775 1.5898 1.1862 O
-2.0970 2.9941 5.0201 O
-0.8690 3.4494 2.2698 O
1.8192 0.0193 0.8461 O
0.0998 4.5645 4.6800 O
-0.7079 2.2372 6.6090 O
1.0116 2.3467 2.7751 O
-0.9923 5.3110 7.2832 O
0.7272 8.4406 3.4493 O
1.4282 5.6062 2.3897 O
-0.2913 8.1453 6.2236 O
3.6383 1.8184 1.6636 O
1.9188 2.7655 5.4975 O
2.9034 0.9161 4.7068 O
1.9779 0.9122 6.7567 O
4.6229 3.6678 0.8729 O
3.6974 3.6717 2.9228 O
2.9433 5.4961 4.7450 O
2.0178 5.4999 6.7949 O
4.6628 8.2555 0.9111 O
3.7373 8.2516 2.9610 O
4.7219 6.4022 2.1703 O
3.0024 7.3493 6.0042 O
6.9320 1.0224 1.4442 O
5.2125 3.5615 5.2780 O
5.9135 0.7272 4.2184 O
7.6330 3.8567 0.3845 O
5.6291 6.8211 4.8926 O
7.3486 6.9305 1.0587 O
6.5409 4.6032 2.9877 O
4.8215 9.1484 6.8216 O
7.5097 5.7184 5.3980 O
8.7377 6.1736 2.6477 O
........

# Pm2SiSnRh6
Calculated powder XRD pattern, Cu Kα, 1.54184 Å. Input: the PBE geometry in Alexandria.
Peak positions follow from Bragg's law for the DFT cell and can differ from measured ones.

Crystal structure
Cell: 6.181 6.189 7.210 Å, 65.24 64.95 60.16°
Fractional coordinates of all 10 atoms:
Pm  0.249  0.248  0.251
Pm  0.751  0.752  0.749
Si  0.500  0.500  0.500
Sn  0.000  0.000  0.000
Rh  0.179  0.740  0.336
Rh  0.257  0.259  0.668
Rh  0.258  0.825  0.660
Rh  0.742  0.175  0.340
Rh  0.743  0.741  0.332
Rh  0.821  0.260  0.664

The 10 most intense peaks (15° ≤ 2θ ≤ 90°), most intense first:
index  d/Å  I (rel.)
0 2 2  2.324  100
2 0 2  2.331  97
2 2 0  2.338  94
2 2 2  2.568  82
2 0 0  2.579  80
0 2 0  2.589  79
4 2 2  1.546  65
1 -1 0  3.095  63
0 0 2  3.149  56
0 1 0  5.168  51

~~~~~

Entry 1:
# Mg14NiC
Computed X-ray powder pattern, Cu Kα (λ = 1.5418 Å). Input: a structure optimized by DFT (GGA-PBE).

Principal peaks in the range 10 to 90 degrees two-theta, low angle first:
2θ/deg  intensity
18.09  9
19.73  14
34.78  22
35.00  17
36.64  100
39.15  15
40.07  10
52.22  10

Cell and atoms:
```
Mg14NiC
1.0
9.2044 0.0000 0.0000
0.0000 3.5028 5.1595
0.0000 -3.5028 5.1595
Mg Ni C
14 1 1
Cartesian
0.0000 0.0000 0.0000 Mg
0.0000 0.0000 4.8588 Mg
0.0000 -1.5320 7.6952 Mg
0.0000 1.5320 7.6952 Mg
2.1908 0.0000 2.2270 Mg
2.4229 0.0000 6.7623 Mg
2.9968 -2.0437 4.4776 Mg
2.9968 2.0437 4.4776 Mg
4.6022 -1.9328 6.9846 Mg
4.6022 1.9328 6.9846 Mg
6.2076 -2.0437 4.4776 Mg
6.2076 2.0437 4.4776 Mg
6.7815 0.0000 6.7623 Mg
7.0136 0.0000 2.2270 Mg
4.6022 0.0000 5.0603 Ni
4.6022 0.0000 0.2165 C
```

***

Entry 2:
# MgC2O4
Computed X-ray powder pattern, Cu Kα (λ = 1.5418 Å). Input: a structure optimized by DFT (GGA-PBE).

Principal peaks in the range 10 to 90 degrees two-theta, low angle first:
2θ/deg  intensity
24.20  100
34.11  32
38.33  56
39.10  13
40.17  13
42.53  14
49.60  16
51.21  13

Cell and atoms:
```
MgC2O4
1.0
5.4272 0.0000 0.0000
0.0000 5.1199 0.0000
-3.1227 0.0000 5.2849
Mg C O
2 4 8
Cartesian
0.0000 0.0000 0.0000 Mg
-1.5613 2.5600 2.6424 Mg
-0.3777 0.6283 4.8309 C
1.1836 1.9316 2.1885 C
1.1209 3.1883 3.0964 C
2.6823 4.4916 0.4540 C
-1.4775 1.0514 4.3388 O
0.0839 1.5085 1.6964 O
-0.0144 3.6983 3.2752 O
1.5470 3.9816 0.6327 O
0.7576 1.1383 4.6521 O
2.3189 1.4216 2.0097 O
2.2207 3.6114 3.5885 O
3.7821 4.0685 0.9461 O
```

***

Entry 3:
# Mg5C4O18
Computed X-ray powder pattern, Cu Kα (λ = 1.5418 Å). Input: a structure optimized by DFT (GGA-PBE).

Principal peaks in the range 10 to 90 degrees two-theta, low angle first:
2θ/deg  intensity
13.64  59
15.09  100
21.15  23
26.52  28
30.39  38
30.52  27
35.25  21
41.56  26

Cell and atoms:
```
Mg5C4O18
1.0
10.0796 0.0000 0.0000
0.0000 9.1677 0.0000
-3.4389 0.0000 7.6678
Mg C O
10 8 36
Cartesian
0.0000 0.0000 0.0000 Mg
-1.7195 4.5839 3.8339 Mg
2.2741 0.6199 2.7455 Mg
0.5547 3.9640 6.5794 Mg
0.1130 0.5982 7.6025 Mg
1.8325 3.9857 3.7687 Mg
4.8082 5.1821 3.8991 Mg
6.5277 8.5695 0.0652 Mg
6.0860 5.2038 1.0884 Mg
4.3665 8.5478 4.9223 Mg
-1.8057 2.1354 5.9030 C
-0.0862 2.4484 2.0691 C
2.2698 1.5426 5.6534 C
3.9893 3.0412 1.8195 C
2.6514 6.1265 5.8483 C
4.3709 7.6251 2.0144 C
6.7269 6.7193 5.5986 C
8.4464 7.0323 1.7647 C
-2.5885 1.1345 6.1036 O
-0.3775 1.5898 1.1862 O
-2.0970 2.9941 5.0201 O
-0.8690 3.4494 2.2698 O
1.8192 0.0193 0.8461 O
0.0998 4.5645 4.6800 O
-0.7079 2.2372 6.6090 O
1.0116 2.3467 2.7751 O
-0.9923 5.3110 7.2832 O
0.7272 8.4406 3.4493 O
1.4282 5.6062 2.3897 O
-0.2913 8.1453 6.2236 O
3.6383 1.8184 1.6636 O
1.9188 2.7655 5.4975 O
2.9034 0.9161 4.7068 O
1.9779 0.9122 6.7567 O
4.6229 3.6678 0.8729 O
3.6974 3.6717 2.9228 O
2.9433 5.4961 4.7450 O
2.0178 5.4999 6.7949 O
4.6628 8.2555 0.9111 O
3.7373 8.2516 2.9610 O
4.7219 6.4022 2.1703 O
3.0024 7.3493 6.0042 O
6.9320 1.0224 1.4442 O
5.2125 3.5615 5.2780 O
5.9135 0.7272 4.2184 O
7.6330 3.8567 0.3845 O
5.6291 6.8211 4.8926 O
7.3486 6.9305 1.0587 O
6.5409 4.6032 2.9877 O
4.8215 9.1484 6.8216 O
7.5097 5.7184 5.3980 O
8.7377 6.1736 2.6477 O